**Brief:**
Print everything further below without altering anything.
**File:**
~~~
Record 1
A geometry-optimized LaTh5Se6 structure. Source: Alexandria via LeMat-Bulk, functional PBE.

For the uncorrected formation energy, the calculation gives -1613.9 meV/atom. The total magnetization is 0.000 μB per atom.

abc: 7.316 12.647 7.310
angles: 90.00 109.42 90.00
Space group C2/m (No. 12)
Inequivalent atoms, fractional coordinates:
La: 0.000 0.000 0.000
Th: 0.000 0.165 0.500
Th: 0.000 0.333 0.000
Th: 0.000 0.500 0.500
Se: 0.246 0.500 0.249
Se: 0.248 0.332 0.748

Record 2
A geometry-optimized Y2GaTe2 structure. Source: Alexandria via LeMat-Bulk, functional PBE.

For the uncorrected formation energy, the calculation gives -827.4 meV/atom. The total magnetization is 0.000 μB per atom.

abc: 8.470 8.470 3.893
angles: 90.00 90.00 90.00
Space group P4/mbm (No. 127)
Inequivalent atoms, fractional coordinates:
Y: 0.150 0.350 0.000
Ga: 0.000 0.000 0.500
Te: 0.146 0.646 0.500

Record 3
A geometry-optimized Li2Sn3GeSe6 structure. Source: Alexandria via LeMat-Bulk, functional PBE.

For the uncorrected formation energy, the calculation gives -568.4 meV/atom. The total magnetization is 0.000 μB per atom.

abc: 17.581 4.045 8.150
angles: 90.00 103.23 90.00
Space group C2/m (No. 12)
Inequivalent atoms, fractional coordinates:
Li: 0.170 0.000 0.335
Sn: 0.000 0.500 0.500
Sn: 0.169 0.000 0.829
Ge: 0.000 0.500 0.000
Se: 0.004 0.000 0.241
Se: 0.162 0.500 0.091
Se: 0.171 0.500 0.580

Record 4
A geometry-optimized Sc2NbCo structure. Source: Alexandria via LeMat-Bulk, functional PBE.

The formation enthalpy at 0 K is 0.17 eV/atom. The total magnetization is 0.771 μB per atom.

abc: 6.624 6.624 6.624
angles: 90.00 90.00 90.00
Space group Fm-3m (No. 225)
Inequivalent atoms, fractional coordinates:
Sc: 0.250 0.250 0.250
Nb: 0.000 0.000 0.000
Co: 0.000 0.000 0.500

Record 5
A geometry-optimized PmMg8Cd4 structure. Source: Alexandria via LeMat-Bulk, functional PBE.

The formation enthalpy at 0 K is -0.14 eV/atom. The total magnetization is 0.000 μB per atom.

abc: 10.024 10.024 5.932
angles: 90.00 90.00 90.00
Space group I4/mmm (No. 139)
Inequivalent atoms, fractional coordinates:
Pm: 0.000 0.000 0.000
Mg: 0.000 0.213 0.500
Mg: 0.000 0.350 0.000
Cd: 0.250 0.250 0.250

Record 6
A geometry-optimized RbCdInGe2 structure. Source: Alexandria via LeMat-Bulk, functional PBE.

The formation enthalpy at 0 K is 1.37 eV/atom. The total magnetization is 0.000 μB per atom.

abc: 5.879 5.879 6.279
angles: 90.00 90.00 90.00
Space group P4/mmm (No. 123)
Inequivalent atoms, fractional coordinates:
Rb: 0.000 0.000 0.000
Cd: 0.500 0.500 0.500
In: 0.000 0.000 0.500
Ge: 0.000 0.500 0.000

Record 7
A geometry-optimized Sr5Tl4Bi structure. Source: Alexandria via LeMat-Bulk, functional PBE.

The formation enthalpy at 0 K is -0.50 eV/atom. The total magnetization is 0.000 μB per atom.

abc: 4.138 4.138 20.366
angles: 90.00 90.00 90.00
Space group P4/mmm (No. 123)
Inequivalent atoms, fractional coordinates:
Sr: 0.000 0.000 0.000
Sr: 0.000 0.000 0.200
Sr: 0.000 0.000 0.402
Tl: 0.500 0.500 0.103
Tl: 0.500 0.500 0.295
Bi: 0.500 0.500 0.500

Record 8
A geometry-optimized CrNiPS2 structure. Source: Alexandria via LeMat-Bulk, functional PBE.

For the uncorrected formation energy, the calculation gives 649.7 meV/atom. The total magnetization is 0.000 μB per atom.

abc: 4.385 4.385 4.489
angles: 90.00 90.00 90.00
Space group P4/mmm (No. 123)
Inequivalent atoms, fractional coordinates:
Cr: 0.000 0.000 0.000
Ni: 0.500 0.500 0.500
P: 0.000 0.000 0.500
S: 0.000 0.500 0.000

Electronic total energy in eV/cell, matching the order above: -164.60 -52.75 -96.36 -116.62 -46.06 -6.98 -26.75 -25.82
DOS at the Fermi energy in states/eV/cell, matching the order above: 17.36 9.97 9.26 15.03 10.07 5.44 6.74 5.98

=====

1.
Computed, not measured: crystalline Ho2Al9Rh3 at its relaxed geometry at the GGA-PBE level of DFT.

Output
**Energy relative to the elements**: -0.833 eV per atom

a = 7.5692 Å, b = 7.5692 Å, c = 10.4293 Å
α = 89.87°, β = 111.18°, γ = 120.35°
~~~
**Here it is:**
Record 1
A geometry-optimized LaTh5Se6 structure. Source: Alexandria via LeMat-Bulk, functional PBE.

For the uncorrected formation energy, the calculation gives -1613.9 meV/atom. The total magnetization is 0.000 μB per atom.

abc: 7.316 12.647 7.310
angles: 90.00 109.42 90.00
Space group C2/m (No. 12)
Inequivalent atoms, fractional coordinates:
La: 0.000 0.000 0.000
Th: 0.000 0.165 0.500
Th: 0.000 0.333 0.000
Th: 0.000 0.500 0.500
Se: 0.246 0.500 0.249
Se: 0.248 0.332 0.748

Record 2
A geometry-optimized Y2GaTe2 structure. Source: Alexandria via LeMat-Bulk, functional PBE.

For the uncorrected formation energy, the calculation gives -827.4 meV/atom. The total magnetization is 0.000 μB per atom.

abc: 8.470 8.470 3.893
angles: 90.00 90.00 90.00
Space group P4/mbm (No. 127)
Inequivalent atoms, fractional coordinates:
Y: 0.150 0.350 0.000
Ga: 0.000 0.000 0.500
Te: 0.146 0.646 0.500

Record 3
A geometry-optimized Li2Sn3GeSe6 structure. Source: Alexandria via LeMat-Bulk, functional PBE.

For the uncorrected formation energy, the calculation gives -568.4 meV/atom. The total magnetization is 0.000 μB per atom.

abc: 17.581 4.045 8.150
angles: 90.00 103.23 90.00
Space group C2/m (No. 12)
Inequivalent atoms, fractional coordinates:
Li: 0.170 0.000 0.335
Sn: 0.000 0.500 0.500
Sn: 0.169 0.000 0.829
Ge: 0.000 0.500 0.000
Se: 0.004 0.000 0.241
Se: 0.162 0.500 0.091
Se: 0.171 0.500 0.580

Record 4
A geometry-optimized Sc2NbCo structure. Source: Alexandria via LeMat-Bulk, functional PBE.

The formation enthalpy at 0 K is 0.17 eV/atom. The total magnetization is 0.771 μB per atom.

abc: 6.624 6.624 6.624
angles: 90.00 90.00 90.00
Space group Fm-3m (No. 225)
Inequivalent atoms, fractional coordinates:
Sc: 0.250 0.250 0.250
Nb: 0.000 0.000 0.000
Co: 0.000 0.000 0.500

Record 5
A geometry-optimized PmMg8Cd4 structure. Source: Alexandria via LeMat-Bulk, functional PBE.

The formation enthalpy at 0 K is -0.14 eV/atom. The total magnetization is 0.000 μB per atom.

abc: 10.024 10.024 5.932
angles: 90.00 90.00 90.00
Space group I4/mmm (No. 139)
Inequivalent atoms, fractional coordinates:
Pm: 0.000 0.000 0.000
Mg: 0.000 0.213 0.500
Mg: 0.000 0.350 0.000
Cd: 0.250 0.250 0.250

Record 6
A geometry-optimized RbCdInGe2 structure. Source: Alexandria via LeMat-Bulk, functional PBE.

The formation enthalpy at 0 K is 1.37 eV/atom. The total magnetization is 0.000 μB per atom.

abc: 5.879 5.879 6.279
angles: 90.00 90.00 90.00
Space group P4/mmm (No. 123)
Inequivalent atoms, fractional coordinates:
Rb: 0.000 0.000 0.000
Cd: 0.500 0.500 0.500
In: 0.000 0.000 0.500
Ge: 0.000 0.500 0.000

Record 7
A geometry-optimized Sr5Tl4Bi structure. Source: Alexandria via LeMat-Bulk, functional PBE.

The formation enthalpy at 0 K is -0.50 eV/atom. The total magnetization is 0.000 μB per atom.

abc: 4.138 4.138 20.366
angles: 90.00 90.00 90.00
Space group P4/mmm (No. 123)
Inequivalent atoms, fractional coordinates:
Sr: 0.000 0.000 0.000
Sr: 0.000 0.000 0.200
Sr: 0.000 0.000 0.402
Tl: 0.500 0.500 0.103
Tl: 0.500 0.500 0.295
Bi: 0.500 0.500 0.500

Record 8
A geometry-optimized CrNiPS2 structure. Source: Alexandria via LeMat-Bulk, functional PBE.

For the uncorrected formation energy, the calculation gives 649.7 meV/atom. The total magnetization is 0.000 μB per atom.

abc: 4.385 4.385 4.489
angles: 90.00 90.00 90.00
Space group P4/mmm (No. 123)
Inequivalent atoms, fractional coordinates:
Cr: 0.000 0.000 0.000
Ni: 0.500 0.500 0.500
P: 0.000 0.000 0.500
S: 0.000 0.500 0.000

Electronic total energy in eV/cell, matching the order above: -164.60 -52.75 -96.36 -116.62 -46.06 -6.98 -26.75 -25.82
DOS at the Fermi energy in states/eV/cell, matching the order above: 17.36 9.97 9.26 15.03 10.07 5.44 6.74 5.98

=====

1.
Computed, not measured: crystalline Ho2Al9Rh3 at its relaxed geometry at the GGA-PBE level of DFT.

Output
**Energy relative to the elements**: -0.833 eV per atom

a = 7.5692 Å, b = 7.5692 Å, c = 10.4293 Å
α = 89.87°, β = 111.18°, γ = 120.35°